_Data_
one | A relaxed Ba2PrMgNbO6 crystal, computed with PBE-GGA.

Properties
V, Å³/cell: 188.1

Cell lengths 6.0616, 6.0636, 6.5001 Å; angles 67.53, 67.46, 61.60 degrees
With the nearest neighbours (Å) after each atom.
Atoms (fractional coordinates):
Ba  0.0000  0.0000  0.0000  3 O 2.60-2.76
Ba  0.3813  0.3783  0.7839  3 O 2.60-2.77
Pr  0.1931  0.1914  0.3904  4 O 2.37
Mg  0.6906  0.6889  0.3921  4 O 2.10
Nb  0.6905  0.6888  0.8922  6 O 2.03-2.16
O  0.4469  0.8833  0.6536  1 Mg 2.10, 1 Nb 2.16
O  0.4739  0.4708  0.0947  1 Nb 2.05
O  0.4961  0.9310  0.1315  1 Mg 2.10, 1 Nb 2.16
O  0.8838  0.4459  0.6531  1 Mg 2.10, 1 Nb 2.16
O  0.9051  0.9051  0.6919  1 Nb 2.03
O  0.9332  0.4933  0.1310  1 Mg 2.10, 1 Nb 2.16

=====

two | A relaxed Ba2PrMgNbO6 crystal, computed with PBE-GGA.

Properties
V, Å³/cell: 192.8

Cell lengths 7.0791, 7.0791, 7.0791 Å; angles 50.20, 50.20, 50.20 degrees
With the nearest neighbours (Å) after each atom.
Atoms (fractional coordinates):
Ba  0.0000  0.0000  0.0000  3 O 2.60
Ba  0.4163  0.4163  0.4163  6 O 2.84-2.85
Pr  0.2035  0.2035  0.2035  6 O 2.47-2.70
Mg  0.8277  0.8277  0.8277  3 O 2.00
Nb  0.6811  0.6811  0.6811  3 O 1.95
O  0.4535  0.4788  0.9563  1 Nb 1.95
O  0.4540  0.9479  0.8919  1 Mg 2.00
O  0.4788  0.9563  0.4535  1 Nb 1.95
O  0.8919  0.4540  0.9479  1 Mg 2.00
O  0.9479  0.8919  0.4540  1 Mg 2.00
O  0.9563  0.4535  0.4788  1 Nb 1.95

=====

Energies in meV per atom, measured from the most stable structure: one 108; two 0.


First-principles (GGA+U) data for an optimized crystal structure of La5Sm3V2Cr6O20, as listed in Materials Project.

Computed properties:
ΔH_f (0 K) = -102.8 eV per formula unit
calculated total energy = -1150.2 eV per cell

abc: 11.126 11.305 17.726
angles: 108.56 107.27 90.03
Fractional coordinates of all 144 atoms:
La (0.000, 0.000, 0.000)
La (0.000, 0.497, 0.998)
La (0.113, 0.125, 0.754)
La (0.121, 0.125, 0.257)
La (0.253, 0.744, 0.998)
La (0.255, 0.248, 0.000)
La (0.270, 0.250, 0.501)
La (0.384, 0.876, 0.760)
La (0.386, 0.377, 0.758)
La (0.497, 0.496, 0.998)
La (0.499, 0.002, 0.998)
La (0.512, 0.000, 0.500)
La (0.630, 0.618, 0.755)
La (0.639, 0.131, 0.757)
La (0.740, 0.244, 0.000)
La (0.748, 0.762, 0.504)
La (0.754, 0.747, 0.999)
La (0.767, 0.255, 0.505)
La (0.872, 0.877, 0.760)
La (0.880, 0.380, 0.754)
Sm (0.015, 0.497, 0.502)
Sm (0.019, 0.000, 0.493)
Sm (0.118, 0.629, 0.261)
Sm (0.124, 0.618, 0.754)
Sm (0.258, 0.738, 0.493)
Sm (0.368, 0.874, 0.264)
Sm (0.375, 0.376, 0.267)
Sm (0.507, 0.494, 0.498)
Sm (0.610, 0.626, 0.257)
Sm (0.624, 0.131, 0.263)
Sm (0.865, 0.378, 0.262)
Sm (0.873, 0.874, 0.259)
V (0.049, 0.815, 0.627)
V (0.065, 0.310, 0.627)
V (0.301, 0.056, 0.627)
V (0.318, 0.047, 0.133)
V (0.555, 0.802, 0.628)
V (0.797, 0.553, 0.131)
V (0.805, 0.074, 0.627)
V (0.814, 0.580, 0.626)
Cr (0.062, 0.806, 0.130)
Cr (0.064, 0.311, 0.131)
Cr (0.190, 0.936, 0.875)
Cr (0.191, 0.437, 0.877)
Cr (0.191, 0.934, 0.378)
Cr (0.193, 0.436, 0.378)
Cr (0.306, 0.560, 0.130)
Cr (0.322, 0.568, 0.629)
Cr (0.438, 0.186, 0.873)
Cr (0.441, 0.685, 0.378)
Cr (0.442, 0.687, 0.879)
Cr (0.448, 0.186, 0.378)
Cr (0.559, 0.308, 0.136)
Cr (0.566, 0.807, 0.132)
Cr (0.576, 0.300, 0.628)
Cr (0.692, 0.935, 0.880)
Cr (0.695, 0.439, 0.881)
Cr (0.695, 0.936, 0.377)
Cr (0.700, 0.447, 0.382)
Cr (0.805, 0.065, 0.132)
Cr (0.940, 0.687, 0.380)
Cr (0.942, 0.189, 0.880)
Cr (0.943, 0.189, 0.378)
Cr (0.945, 0.689, 0.880)
O (0.000, 0.708, 0.003)
O (0.016, 0.209, 0.005)
O (0.037, 0.030, 0.354)
O (0.038, 0.528, 0.351)
O (0.045, 0.045, 0.850)
O (0.056, 0.552, 0.854)
O (0.062, 0.702, 0.523)
O (0.077, 0.324, 0.901)
O (0.081, 0.828, 0.908)
O (0.095, 0.811, 0.406)
O (0.097, 0.314, 0.408)
O (0.112, 0.503, 0.132)
O (0.127, 0.975, 0.621)
O (0.133, 0.335, 0.755)
O (0.133, 0.992, 0.128)
O (0.143, 0.808, 0.735)
O (0.148, 0.486, 0.630)
O (0.151, 0.827, 0.254)
O (0.156, 0.331, 0.255)
O (0.239, 0.042, 0.501)
O (0.253, 0.538, 0.003)
O (0.264, 0.537, 0.503)
O (0.280, 0.053, 0.015)
O (0.287, 0.054, 0.351)
O (0.288, 0.567, 0.354)
_Job_
Your job: retype everything above with every line break kept.
_Solution_
one | A relaxed Ba2PrMgNbO6 crystal, computed with PBE-GGA.

Properties
V, Å³/cell: 188.1

Cell lengths 6.0616, 6.0636, 6.5001 Å; angles 67.53, 67.46, 61.60 degrees
With the nearest neighbours (Å) after each atom.
Atoms (fractional coordinates):
Ba  0.0000  0.0000  0.0000  3 O 2.60-2.76
Ba  0.3813  0.3783  0.7839  3 O 2.60-2.77
Pr  0.1931  0.1914  0.3904  4 O 2.37
Mg  0.6906  0.6889  0.3921  4 O 2.10
Nb  0.6905  0.6888  0.8922  6 O 2.03-2.16
O  0.4469  0.8833  0.6536  1 Mg 2.10, 1 Nb 2.16
O  0.4739  0.4708  0.0947  1 Nb 2.05
O  0.4961  0.9310  0.1315  1 Mg 2.10, 1 Nb 2.16
O  0.8838  0.4459  0.6531  1 Mg 2.10, 1 Nb 2.16
O  0.9051  0.9051  0.6919  1 Nb 2.03
O  0.9332  0.4933  0.1310  1 Mg 2.10, 1 Nb 2.16

=====

two | A relaxed Ba2PrMgNbO6 crystal, computed with PBE-GGA.

Properties
V, Å³/cell: 192.8

Cell lengths 7.0791, 7.0791, 7.0791 Å; angles 50.20, 50.20, 50.20 degrees
With the nearest neighbours (Å) after each atom.
Atoms (fractional coordinates):
Ba  0.0000  0.0000  0.0000  3 O 2.60
Ba  0.4163  0.4163  0.4163  6 O 2.84-2.85
Pr  0.2035  0.2035  0.2035  6 O 2.47-2.70
Mg  0.8277  0.8277  0.8277  3 O 2.00
Nb  0.6811  0.6811  0.6811  3 O 1.95
O  0.4535  0.4788  0.9563  1 Nb 1.95
O  0.4540  0.9479  0.8919  1 Mg 2.00
O  0.4788  0.9563  0.4535  1 Nb 1.95
O  0.8919  0.4540  0.9479  1 Mg 2.00
O  0.9479  0.8919  0.4540  1 Mg 2.00
O  0.9563  0.4535  0.4788  1 Nb 1.95

=====

Energies in meV per atom, measured from the most stable structure: one 108; two 0.


First-principles (GGA+U) data for an optimized crystal structure of La5Sm3V2Cr6O20, as listed in Materials Project.

Computed properties:
ΔH_f (0 K) = -102.8 eV per formula unit
calculated total energy = -1150.2 eV per cell

abc: 11.126 11.305 17.726
angles: 108.56 107.27 90.03
Fractional coordinates of all 144 atoms:
La (0.000, 0.000, 0.000)
La (0.000, 0.497, 0.998)
La (0.113, 0.125, 0.754)
La (0.121, 0.125, 0.257)
La (0.253, 0.744, 0.998)
La (0.255, 0.248, 0.000)
La (0.270, 0.250, 0.501)
La (0.384, 0.876, 0.760)
La (0.386, 0.377, 0.758)
La (0.497, 0.496, 0.998)
La (0.499, 0.002, 0.998)
La (0.512, 0.000, 0.500)
La (0.630, 0.618, 0.755)
La (0.639, 0.131, 0.757)
La (0.740, 0.244, 0.000)
La (0.748, 0.762, 0.504)
La (0.754, 0.747, 0.999)
La (0.767, 0.255, 0.505)
La (0.872, 0.877, 0.760)
La (0.880, 0.380, 0.754)
Sm (0.015, 0.497, 0.502)
Sm (0.019, 0.000, 0.493)
Sm (0.118, 0.629, 0.261)
Sm (0.124, 0.618, 0.754)
Sm (0.258, 0.738, 0.493)
Sm (0.368, 0.874, 0.264)
Sm (0.375, 0.376, 0.267)
Sm (0.507, 0.494, 0.498)
Sm (0.610, 0.626, 0.257)
Sm (0.624, 0.131, 0.263)
Sm (0.865, 0.378, 0.262)
Sm (0.873, 0.874, 0.259)
V (0.049, 0.815, 0.627)
V (0.065, 0.310, 0.627)
V (0.301, 0.056, 0.627)
V (0.318, 0.047, 0.133)
V (0.555, 0.802, 0.628)
V (0.797, 0.553, 0.131)
V (0.805, 0.074, 0.627)
V (0.814, 0.580, 0.626)
Cr (0.062, 0.806, 0.130)
Cr (0.064, 0.311, 0.131)
Cr (0.190, 0.936, 0.875)
Cr (0.191, 0.437, 0.877)
Cr (0.191, 0.934, 0.378)
Cr (0.193, 0.436, 0.378)
Cr (0.306, 0.560, 0.130)
Cr (0.322, 0.568, 0.629)
Cr (0.438, 0.186, 0.873)
Cr (0.441, 0.685, 0.378)
Cr (0.442, 0.687, 0.879)
Cr (0.448, 0.186, 0.378)
Cr (0.559, 0.308, 0.136)
Cr (0.566, 0.807, 0.132)
Cr (0.576, 0.300, 0.628)
Cr (0.692, 0.935, 0.880)
Cr (0.695, 0.439, 0.881)
Cr (0.695, 0.936, 0.377)
Cr (0.700, 0.447, 0.382)
Cr (0.805, 0.065, 0.132)
Cr (0.940, 0.687, 0.380)
Cr (0.942, 0.189, 0.880)
Cr (0.943, 0.189, 0.378)
Cr (0.945, 0.689, 0.880)
O (0.000, 0.708, 0.003)
O (0.016, 0.209, 0.005)
O (0.037, 0.030, 0.354)
O (0.038, 0.528, 0.351)
O (0.045, 0.045, 0.850)
O (0.056, 0.552, 0.854)
O (0.062, 0.702, 0.523)
O (0.077, 0.324, 0.901)
O (0.081, 0.828, 0.908)
O (0.095, 0.811, 0.406)
O (0.097, 0.314, 0.408)
O (0.112, 0.503, 0.132)
O (0.127, 0.975, 0.621)
O (0.133, 0.335, 0.755)
O (0.133, 0.992, 0.128)
O (0.143, 0.808, 0.735)
O (0.148, 0.486, 0.630)
O (0.151, 0.827, 0.254)
O (0.156, 0.331, 0.255)
O (0.239, 0.042, 0.501)
O (0.253, 0.538, 0.003)
O (0.264, 0.537, 0.503)
O (0.280, 0.053, 0.015)
O (0.287, 0.054, 0.351)
O (0.288, 0.567, 0.354)